With a perfect amalgamation of emotional drive and relentless action, Train to Busan, alongside 28 Days Later and Rec, is arguably one of the best zombie movies of the 21st century. Does the sequel, Peninsula, match or transcend its predecessor? Predictably, no, but director Sang-ho Yeon still provides the pales of gore and absurdity that make this genre so perpetually fascinating.

Set four years after Train to Busan, the epidemic that erupted in Seoul has consumed all of South Korea. Disturbed and displaced by the initial outbreak, Jung-Seok and Chul-min return to the quarantined peninsula with a task force of mercenaries to locate and extract millions of dollars in deserted cash. When they’re invariably besieged by droves of famished undead and a barbaric militia, their mission soon summersaults into a dog fight for survival.

Peninsula hurls its audience into a post-apocalyptic fever dream reminiscent of John Carpenter’s Escape from New York, but this darkly captivating world, despite its bigger and bolder set pieces, somehow lacks the pace and tension of the first film. Set almost entirely on the sonic-speed KTX, Train to Busan is claustrophobic, building its suspense with close-quarters combat and splendidly choreographed violence. While Peninsula’s zombie vs. human death rodeo and Mad Max: Fury Road style car chases are irrefutably entertaining, this unbridled carnage comes at the expense of the qualities that made Train to Busan truly exceptional.

Although flawed, Peninsula still looms tall in a crowded genre. It benefits from strong performances by Lee Ye-won and Lee Re (the rest of the cast seems to get swallowed whole by the tempo of the plot line) and explores interesting themes around identity and displacement (analysed more thoroughly in Steven Amsterdam’s Things We Didn’t See Coming or John Lancaster’s one-dimensional Wall). It also packs enough swarms of sprinting zombies to ensure even the most hackneyed action scenes remain refreshing and sinister. In a Covid-19 reality, zombie and post-apocalyptic narratives have perhaps never been more poignant. It’s a shame that Peninsula merely scratches the surface of what the genre is truly capable of exposing and enunciating.

Quantum chemistry results that have nothing to do with the piece:
____________
1.
A molecular structure, C21H28N4OsS2 at a distorted geometry, computed with wB97M-V/def2-TZVPD.

Cartesian coordinates (Å):
Os1 -0.8546 -2.3022 -1.9070
N1 -1.2385 -4.3508 -1.3384
C1 0.0009 -5.2770 -1.0255
C2 0.7617 -5.3652 -2.3070
C3 1.4604 -4.0684 -2.6658
N2 0.5404 -2.9902 -3.3040
H1 -1.8259 -4.3676 -0.5525
H2 -1.6978 -4.7973 -2.1253
H3 -0.5256 -6.1982 -0.6915
H4 0.5772 -4.8682 -0.1812
H5 0.2497 -5.8295 -3.0939
H6 1.4845 -6.1017 -2.0834
H7 2.3840 -4.1398 -3.2859
H8 1.8026 -3.5467 -1.7157
H9 0.1293 -3.2457 -4.1906
H10 1.1351 -2.2229 -3.6011
S1 -1.9056 -1.7042 -0.0800
C4 -1.3546 0.0574 0.2741
N3 -1.5133 0.6314 1.4237
C5 -1.2242 2.1922 1.4945
C6 -1.6043 2.9152 0.1280
N4 -1.0550 2.1338 -0.9107
C7 -0.5211 2.8754 -2.0725
C8 0.9496 2.8210 -2.3771
C9 1.2812 3.1514 -3.7067
C10 2.6432 3.1676 -4.0320
C11 3.6244 3.2227 -2.9628
C12 3.2253 2.8751 -1.7298
C13 1.8589 2.7259 -1.2704
C14 -0.8804 0.8812 -0.8428
S2 -0.3137 -0.0530 -2.2408
C15 -1.7000 -0.3348 2.7718
C16 -1.3069 0.4021 4.0959
C17 -2.0544 1.0610 5.0181
C18 -1.6061 1.4587 6.2280
C19 -0.2030 1.3201 6.4015
C20 0.6760 0.9668 5.3241
C21 0.1074 0.4750 4.1399
H11 -0.1864 2.2831 1.7696
H12 -1.8641 2.5647 2.2817
H13 -1.3073 3.9130 0.2024
H14 -2.6899 2.8509 0.1486
H15 -0.8703 3.8496 -2.1491
H16 -1.0804 2.4062 -2.9317
H17 0.5073 3.0508 -4.4219
H18 2.8085 3.3096 -5.1369
H19 4.6457 3.6095 -3.0576
H20 3.9227 3.0280 -0.8926
H21 1.4502 2.2659 -0.4578
H22 -1.1614 -1.2114 2.6870
H23 -2.7656 -0.7786 2.9151
H24 -3.1300 0.8404 4.8720
H25 -2.3163 1.7553 7.1530
H26 0.0818 1.3173 7.4522
H27 1.7535 1.2446 5.2908
H28 0.6953 0.1302 3.2701

The calculation puts the HOMO-LUMO gap (spin up / spin down) at 0.2278 / 0.1442 Eh. The value obtained for the LUMO energy (spin up / spin down) is -12.9 / -15.0 eV. Its spin multiplicity is 5. The largest force on an atom comes out at 6.90 eV Å⁻¹. As for the net charge: +4. As for the expectation value of S²: 6.08. As for the electronic energy: -1921.33232 hartree.

=====

2.
2 unconnected molecules or ions with the total composition C3H3BrO2 at a distorted geometry, computed with wB97M-V/def2-TZVPD.

Cartesian coordinates (Å):
C1 0.8823 1.4588 -0.0743
C2 -1.5585 -1.2108 0.0006
C3 1.3012 0.2430 0.4850
O1 1.6004 2.4438 -0.1277
O2 -0.3612 -1.0699 -0.0520
Br1 2.6222 -0.8448 -0.0741
H1 -0.2199 1.5453 -0.2062
H2 -2.2365 -0.3945 0.2870
H3 -2.0299 -2.1710 -0.2382

The calculation puts the HOMO-LUMO gap at 0.2923 Eh. The value obtained for the LUMO energy is -0.5 eV. Its spin multiplicity is 1. The energy above the lowest of the compared OMol25 structures with the same formula, charge and spin comes out at 413.5 kJ/mol. The largest force on an atom comes out at 1.23 eV Å⁻¹. As for the electronic energy: -2840.42785 hartree.

=====

3.
A molecular structure, C24H64Mn2N3O17S4 at a distorted geometry, computed with wB97M-V/def2-TZVPD.

Cartesian coordinates (Å):
Mn1 13.4573 22.6156 17.9668
Mn2 11.0646 21.4766 15.5982
N1 13.3466 23.8319 15.0939
O1 13.9196 23.7702 16.2353
O2 12.2155 23.2926 14.9595
____________

Dong-Won Gang
Do-Yoon Kim
Jung-hyun Lee

Sang-ho Yeon

Sang-ho Yeon
Ryu Yong-jae

23 Nov 2020

30 Nov 2020

Posted by Jim Reader

### Quantum chemistry results from another source follow
/*
The following is a DFT calculation (wB97M-V/def2-TZVPD) of a structure of composition C13H22ClO5P2Tl.

XYZ file:
```
44
Properties=species:S:1:pos:R:3:forces:R:3
Tl 0.081740 1.574996 -1.764479 0.0 -0.2 -0.1
Cl -0.526488 1.645019 1.497760 -0.1 0.2 0.1
P -1.379832 -1.084944 -1.101326 -0.4 -0.5 0.1
P 1.766053 -0.917897 -0.798220 0.6 -0.5 0.2
O -1.531382 1.647554 0.443597 -0.3 0.0 -0.3
O 0.751191 1.387572 0.835359 0.4 -0.1 -0.2
O -0.480949 2.921035 2.123390 0.0 0.3 0.2
O -0.808289 0.618719 2.432463 -0.1 -0.4 0.3
O 0.222432 4.191805 -0.539974 -0.3 0.2 0.0
C -1.973947 4.537974 -1.043756 0.1 -0.2 0.0
C 2.502161 -2.382862 -1.663713 -0.2 0.3 -0.1
C -1.345285 -2.475062 1.362780 0.0 0.0 0.0
C -0.745210 5.057078 -0.387051 0.2 0.2 0.1
C -0.596964 -1.841576 0.375502 0.1 0.2 0.0
C 1.411591 -2.397828 1.586912 0.0 0.0 0.0
C -0.724545 -3.058185 2.453093 0.0 0.0 0.0
C 1.447205 4.500853 0.151348 0.2 0.0 0.1
C -1.482162 -2.609886 -2.147638 0.1 0.3 -0.1
C -3.154175 -0.955245 -0.634661 0.2 0.1 0.0
C 3.271310 -0.368211 0.113546 -0.2 0.1 -0.1
C 0.799844 -1.793265 0.493369 -0.2 0.1 -0.1
C 0.656892 -3.026442 2.562263 0.0 0.0 0.0
H -3.683960 -0.499185 -1.472325 0.0 0.0 0.0
H -2.525616 4.046224 -0.232912 0.0 0.1 0.0
H -1.319879 -3.533035 3.222326 0.0 0.0 0.0
H 3.904213 -1.205881 0.405023 0.0 0.0 0.0
H -1.933934 -3.431032 -1.591371 0.0 0.0 0.0
H 3.281632 -2.035358 -2.343776 0.0 0.0 0.0
H -3.601782 -1.926047 -0.425165 0.0 0.0 0.0
H 1.146410 -3.478290 3.415500 0.0 0.0 0.0
H -2.084142 -2.393334 -3.031709 0.0 -0.1 0.0
H -2.579199 5.361196 -1.414969 0.0 0.0 0.0
H 3.848389 0.291339 -0.536118 0.0 0.0 0.0
H -1.809476 3.791529 -1.829267 0.0 0.0 0.0
H 1.351633 4.182471 1.185067 0.0 0.0 0.0
H 2.931034 -3.084348 -0.947980 0.0 0.0 0.0
H -3.245273 -0.294355 0.225180 0.0 0.0 0.0
H -2.424675 -2.495703 1.300538 0.0 0.0 0.0
H -0.484100 -2.904490 -2.469563 0.0 0.0 0.0
H 1.742259 -2.896031 -2.252153 0.0 0.0 0.0
H 2.958428 0.196845 0.988824 0.0 0.0 0.0
H 2.489559 -2.370347 1.686919 0.0 0.0 0.0
H 2.239991 3.936886 -0.337137 0.0 0.0 0.0
H 1.637284 5.569729 0.104497 -0.1 0.0 -0.1
```
Positions in Å, forces in eV/Å.

Output
LUMO   0.01 eV
Charge   0
Orbital gap   7.97 eV

=====

The following is a DFT calculation (wB97M-V/def2-TZVPD) of an isolated molecule of C13H22FN3O3SSi at a distorted geometry.

XYZ file:
```
44
Properties=species:S:1:pos:R:3:forces:R:3
S -1.815949 -0.094454 -1.511611 -0.3 0.9 -0.3
Si 2.067646 1.784802 -0.492674 0.5 0.8 0.3
F 1.911034 0.729145 2.816812 -1.0 -0.2 0.6
O -0.321073 -2.937904 0.816498 -0.2 0.4 0.5
O -3.275697 -0.573827 2.179415 -0.2 0.7 0.3
O -0.104792 2.638279 2.913898 -0.9 -0.4 0.2
N -2.455920 -2.297482 0.372403 0.4 0.2 1.2
N -1.720370 1.059393 2.550016 0.0 -0.9 0.2
N -1.088702 -1.127400 1.966934 0.3 0.9 1.0
C -0.415642 1.471705 2.761087 1.3 1.7 0.2
C -2.597608 -3.229128 -0.757299 -1.2 -0.6 1.1
C 3.035635 0.193696 -0.169456 -0.4 0.0 -1.6
C -2.118612 -0.234013 2.260831 -0.3 -0.2 -0.6
C -1.266917 -2.201231 1.063275 -1.0 -1.5 -2.1
*/
### Here the piece continues

Jim is a London-based journalist who has worked for a number of titles, including Bizarre, Vogue, Boxing News and the Daily Sport. He graduated from the University of Nottingham in 2009 and became a Master of Research in American Literature in 2010.